### Excerpt
Ba3La2Cl12 PBE-GGA optimized geometry; energy of formation = -2.844 eV per atom; space group = P-1, No. 2
1.0
9.319 0.000 0.000
-0.740 10.072 0.000
-3.671 -5.155 11.666
Ba La Cl
6 4 24
Direct
0.005 0.400 0.207
0.382 0.258 0.971
0.412 0.363 0.633
0.588 0.637 0.367
0.618 0.742 0.029
0.995 0.600 0.793
0.210 0.797 0.577
0.210 0.933 0.204
0.790 0.067 0.796
0.790 0.203 0.423
0.034 0.298 0.947
0.055 0.151 0.298
0.067 0.381 0.582
0.201 0.818 0.366
0.233 0.969 0.014
0.237 0.095 0.682
0.300 0.749 0.770
0.302 0.536 0.465
0.325 0.488 0.870
0.335 0.375 0.203
0.387 0.725 0.162
0.465 0.125 0.389
0.535 0.875 0.611
0.613 0.275 0.838
0.665 0.625 0.797
0.675 0.512 0.130
0.698 0.464 0.535
0.700 0.251 0.230
0.763 0.905 0.318
0.767 0.031 0.986
0.799 0.182 0.634
0.933 0.619 0.418
0.945 0.849 0.702
0.966 0.702 0.053

----------

Record 1
A geometry-optimized Na2InSnP3O12 structure, computed with PBE.

Geometry as extended XYZ:
```
114
Lattice="-7.301 2.659 4.386 6.726 -3.895 4.381 9.595 20.504 3.520" Properties=species:S:1:pos:R:3 pbc="T T T"
Na 2.156 4.677 4.067
Na 6.797 14.592 8.216
Na 10.030 9.327 5.238
Na 5.076 -1.261 5.868
Na 3.878 20.531 6.415
Na -1.077 9.942 7.045
Na 4.206 8.985 10.518
Na 9.577 20.473 3.517
Na 5.353 17.530 7.309
Na 0.555 7.278 5.555
Na 3.632 1.677 4.961
Na 8.429 11.928 6.727
In 2.754 5.991 9.963
In 8.121 17.467 3.037
In 3.902 14.536 6.753
In -0.901 4.272 5.075
In 2.181 -1.318 4.405
In 6.973 8.922 6.246
Sn 6.264 13.286 2.323
Sn 0.897 1.809 9.253
Sn 6.837 20.594 7.881
Sn 2.045 10.354 6.044
Sn 5.116 4.741 5.533
Sn 9.919 15.004 7.215
P 6.965 2.005 6.526
P 2.016 4.256 7.062
P 4.392 4.019 2.179
P 7.049 15.015 5.228
P 11.929 12.615 5.752
P 8.785 13.400 10.120
P 0.812 13.209 7.703
P 3.163 12.801 3.852
P 4.966 11.328 7.736
P -1.973 1.820 7.266
P -3.819 3.315 3.409
P 0.337 1.441 3.391
P 8.686 17.859 8.875
P 11.038 17.451 5.024
P 12.840 15.978 8.908
P 5.901 6.470 8.438
P 4.055 7.965 4.581
P 8.212 6.091 4.562
O 1.576 6.637 2.152
O 2.264 5.359 8.069
O -2.883 8.162 6.194
O 7.404 16.348 4.604
O 5.942 15.959 10.506
O 2.010 18.618 6.504
O 7.401 12.653 10.103
O 6.809 13.881 4.190
O 11.895 11.101 6.169
O 1.665 2.885 7.709
O 3.031 3.322 1.812
O 7.013 0.666 5.708
O 2.150 13.946 7.709
O 3.411 13.904 4.860
O 4.991 12.812 7.365
O -1.618 3.153 6.642
O -2.506 4.001 3.777
O 0.289 2.765 4.156
O -1.046 0.695 3.374
O -2.213 0.686 6.228
O -3.853 1.801 3.826
O 2.813 11.430 4.499
O 3.605 10.631 7.370
O 0.860 11.869 6.884
O 10.024 18.596 8.881
O 11.285 18.554 6.031
O 12.866 17.462 8.537
O 6.256 7.803 7.814
O 5.368 8.651 4.948
O 8.163 7.415 5.328
O 6.828 5.345 4.545
O 5.661 5.336 7.399
O 4.021 6.451 4.998
O 10.687 16.080 5.671
O 11.479 15.281 8.541
O 8.734 16.519 8.056
O 9.367 5.287 5.142
O 4.694 6.727 9.360
O 4.006 8.109 3.047
O 9.954 17.974 4.062
O 14.074 15.344 8.282
O 8.439 17.577 10.369
O -0.355 14.015 7.062
O 4.425 12.490 2.960
O 4.954 11.169 9.307
O -0.831 1.253 8.192
O -5.073 3.934 4.093
O 0.530 1.721 1.849
O 3.214 16.491 6.318
O 5.842 15.271 6.150
O 4.579 15.418 8.605
O 0.933 4.779 6.100
O -1.674 6.045 5.939
O -0.008 5.618 3.640
O 7.519 18.665 8.233
O 4.999 19.799 8.518
O 6.102 19.714 6.098
O 0.317 9.797 4.983
O 2.801 8.584 5.264
O 1.103 9.030 7.406
O 1.493 0.637 3.970
O 4.121 -0.582 3.802
O 2.858 -0.436 6.257
O 8.807 9.429 7.271
O 6.200 10.695 7.111
O 7.866 10.268 4.811
O 5.798 2.811 5.885
O 3.277 3.945 6.170
O 4.381 3.860 3.750
O 8.191 14.447 6.154
O 10.675 13.234 6.436
O 8.978 13.680 8.578
```

Summary:
- Total moment: 0.0 μB/cell
- Electronic total energy: -0.24086 Ha/atom
- Energy of formation from the pure elements: -242.5 kJ/mol of atoms

Record 2
A geometry-optimized Na6Ta3In5P12O48 structure, computed with PBE.

Geometry as extended XYZ:
```
222
Lattice="17.835 -0.006 -0.003 -4.461 7.728 -0.003 -0.004 -0.010 22.747" Properties=species:S:1:pos:R:3 pbc="T T T"
Na 10.522 2.865 5.666
Na -2.795 4.882 5.677
Na -1.641 2.856 16.969
Na 7.279 2.853 16.972
Na -1.176 7.676 16.967
Na 7.742 7.674 16.973
Na -4.457 7.720 11.527
Na 4.451 7.719 11.531
### To do
Next, type out the contents further above from the first line to the one with "8.121 17.467" with every line break kept.
### Reply
Ba3La2Cl12 PBE-GGA optimized geometry; energy of formation = -2.844 eV per atom; space group = P-1, No. 2
1.0
9.319 0.000 0.000
-0.740 10.072 0.000
-3.671 -5.155 11.666
Ba La Cl
6 4 24
Direct
0.005 0.400 0.207
0.382 0.258 0.971
0.412 0.363 0.633
0.588 0.637 0.367
0.618 0.742 0.029
0.995 0.600 0.793
0.210 0.797 0.577
0.210 0.933 0.204
0.790 0.067 0.796
0.790 0.203 0.423
0.034 0.298 0.947
0.055 0.151 0.298
0.067 0.381 0.582
0.201 0.818 0.366
0.233 0.969 0.014
0.237 0.095 0.682
0.300 0.749 0.770
0.302 0.536 0.465
0.325 0.488 0.870
0.335 0.375 0.203
0.387 0.725 0.162
0.465 0.125 0.389
0.535 0.875 0.611
0.613 0.275 0.838
0.665 0.625 0.797
0.675 0.512 0.130
0.698 0.464 0.535
0.700 0.251 0.230
0.763 0.905 0.318
0.767 0.031 0.986
0.799 0.182 0.634
0.933 0.619 0.418
0.945 0.849 0.702
0.966 0.702 0.053

----------

Record 1
A geometry-optimized Na2InSnP3O12 structure, computed with PBE.

Geometry as extended XYZ:
```
114
Lattice="-7.301 2.659 4.386 6.726 -3.895 4.381 9.595 20.504 3.520" Properties=species:S:1:pos:R:3 pbc="T T T"
Na 2.156 4.677 4.067
Na 6.797 14.592 8.216
Na 10.030 9.327 5.238
Na 5.076 -1.261 5.868
Na 3.878 20.531 6.415
Na -1.077 9.942 7.045
Na 4.206 8.985 10.518
Na 9.577 20.473 3.517
Na 5.353 17.530 7.309
Na 0.555 7.278 5.555
Na 3.632 1.677 4.961
Na 8.429 11.928 6.727
In 2.754 5.991 9.963
In 8.121 17.467 3.037